Improving STDF processing into a database
To implement a yield analysis system like yieldHUB, a database is usually required. There is a step of processing the STDF datalogs and storing the processed data into the database.
## These crystal structures were left in the piece by mistake
'''
(1)
For K3ErF6, a cell relaxed with PBE gives the computed powder diffractogram in this record (λ = 1.5418 Å (Cu Kα)).
Intensities are scaled so that the largest is 1000.

Main lines, low angle first (2θ from 5° to 70°):
| d_spacing | two_theta | I/Imax |
| --- | --- | --- |
| 5.338 | 16.61 | 873 |
| 5.218 | 16.99 | 767 |
| 4.571 | 19.42 | 1000 |
| 3.292 | 27.09 | 395 |
| 3.237 | 27.56 | 817 |
| 3.223 | 27.68 | 796 |
| 3.183 | 28.03 | 347 |
| 2.737 | 32.71 | 382 |
| 2.288 | 39.38 | 490 |
| 1.850 | 49.26 | 386 |

Cell and atoms:
Cell: 6.366 6.584 11.088 Å, 90.00 124.68 90.00°
Space group P2_1/c (No. 14)
Symmetry-distinct sites (fractional):
K: 0.000 0.000 0.000 [2 per cell]
K: 0.234 0.050 0.747 [4 per cell]
Er: 0.500 0.000 0.500 [2 per cell]
F: 0.174 0.175 0.452 [4 per cell]
F: 0.267 0.728 0.435 [4 per cell]
F: 0.384 0.051 0.277 [4 per cell]

***

(2)
For K3ErF6, a cell relaxed with PBE gives the computed powder diffractogram in this record (λ = 1.5418 Å (Cu Kα)).
Intensities are scaled so that the largest is 1000.

Main lines, low angle first (2θ from 5° to 70°):
| d_spacing | two_theta | I/Imax |
| --- | --- | --- |
| 5.586 | 15.87 | 1000 |
| 4.989 | 17.78 | 300 |
| 4.571 | 19.42 | 183 |
| 3.528 | 25.25 | 846 |
| 3.370 | 26.45 | 626 |
| 2.796 | 32.01 | 223 |
| 2.494 | 36.00 | 201 |
| 2.278 | 39.57 | 177 |
| 2.005 | 45.22 | 421 |
| 1.918 | 47.39 | 275 |

Cell and atoms:
Cell: 7.055 7.055 9.142 Å, 90.00 90.00 90.00°
Space group I4/mmm (No. 139)
Symmetry-distinct sites (fractional):
K: 0.000 0.000 0.000 [2 per cell]
K: 0.000 0.500 0.250 [4 per cell]
Er: 0.000 0.000 0.500 [2 per cell]
F: 0.000 0.000 0.263 [4 per cell]
F: 0.000 0.306 0.500 [8 per cell]

***

(3)
For LiErF2, a cell relaxed with PBE gives the computed powder diffractogram in this record (λ = 1.5418 Å (Cu Kα)).
Intensities are scaled so that the largest is 1000.

Main lines, low angle first (2θ from 5° to 70°):
| d_spacing | two_theta | I/Imax |
| --- | --- | --- |
| 5.743 | 15.43 | 1000 |
| 3.551 | 25.08 | 144 |
| 3.195 | 27.93 | 206 |
| 2.872 | 31.15 | 470 |
| 2.805 | 31.90 | 320 |
| 2.375 | 37.88 | 124 |
| 2.273 | 39.65 | 258 |
| 1.910 | 47.61 | 131 |
| 1.852 | 49.20 | 177 |
| 1.775 | 51.47 | 223 |

Cell and atoms:
Cell: 6.429 6.429 12.778 Å, 90.00 90.00 90.00°
Space group I4_1/amd (No. 141, origin choice 2)
Symmetry-distinct sites (fractional):
Li: 0.000 0.000 0.000 [8 per cell]
Er: 0.000 0.000 0.500 [8 per cell]
F: 0.000 0.014 0.317 [16 per cell]

***

(4)
For Er3NF10, a cell relaxed with PBE gives the computed powder diffractogram in this record (λ = 1.5418 Å (Cu Kα)).
Intensities are scaled so that the largest is 1000.

Main lines, low angle first (2θ from 5° to 70°):
| d_spacing | two_theta | I/Imax |
| --- | --- | --- |
| 6.230 | 14.22 | 319 |
| 4.848 | 18.30 | 319 |
| 4.065 | 21.87 | 249 |
| 3.404 | 26.18 | 446 |
| 3.343 | 26.67 | 383 |
| 3.115 | 28.66 | 1000 |
| 2.032 | 44.58 | 357 |
| 1.883 | 48.34 | 323 |
| 1.737 | 52.71 | 412 |
| 1.702 | 53.86 | 200 |

Cell and atoms:
'''
The reason for doing this is that the STDF is designed to be efficient in saving the data near real time as the test program is running. However, this data structure is not efficient for reporting purposes. The data needs to be organized into a different data structure designed to be efficient for reporting.
In implementing the yieldHUB database, the main goals are speed and the least amount of storage. In most cases, database tables with table-level locking are sufficient for this purpose.
However, in situations when the datalogs have several thousands of tests, the sheer number of tests to save into the database table highlights the inefficiency of the table-level locking, especially when there are >100 active users generating large reports.
How slow processing can happen
The inefficiency is inherent in table-level locking for mixed insert/update and select operations. One process that performs an insert or update operation locks the whole table. If a reporting query is called that needs several seconds to finish is followed immediately by an insert or update operation on the same table, the insert operation has to wait until the report query is finished. Subsequently, any further select operations will have to wait. This can quickly degenerate into a very slow processing situation.
On yieldHUB, if there are 12,000 tests on four test sites, there are actually 60,000 insert operations for the per site statistics. The fifth one is for the overall statistics. This can take several minutes to complete. In addition, processing is usually done using several instances so if there are 10 instances processing datalogs of the same program, that makes the number of insert operations to 600,000. The table locks that would occur cause more wait time for other processes and the application would appear to be slow. And if the storage device doesn’t have a high IOPS, it would cause high I/O wait.
Recommended Solution
To solve this issue, it is recommended to use row-level locking for the tables that store test statistics and information. Row level locking allows select queries to occur even if there is an insert or update operation happening.
On yieldHUB’s database tables for the test statistics, row-level locking tables use 54% more storage. So if such tables are used, make sure the storage has enough capacity for the additional storage requirement.
We have seen a 3x increase in processing speed overall as well as a more responsive application just by changing the tables that store test information into row-level locking tables. However, because of the significant increase in storage requirement, this solution should be done only if storage is available and if there is a large volume of datalogs to process most of the time and users are active during processing.